-- begin --
The following is a computed XRD peak list of NpNi2AgO8. It was derived from a cell relaxed with PBE+U, using Cu Kα, 1.54184 Å.

The 6 most intense peaks (2θ from 10° to 90°), in order of falling intensity:
d/Å, I_rel, index
3.449, 100, 1 1 0
2.731, 91, 1 0 2
3.271, 90, 1 -1 0
4.747, 75, 1 0 0
2.591, 68, 1 0 -2
1.725, 46, 2 2 0

Cell and atoms:
a = 4.760 Å, b = 4.765 Å, c = 6.440 Å
α = 86.58°, β = 86.57°, γ = 86.77°
Space group P-1 (No. 2)
Asymmetric unit:
1 Np 0.000 0.000 0.000 (multiplicity 1)
2 Ni 0.488 0.488 0.254 (multiplicity 2)
3 Ag 0.000 0.000 0.500 (multiplicity 1)
4 O 0.192 0.191 0.244 (multiplicity 2)
5 O 0.215 0.213 0.795 (multiplicity 2)
6 O 0.308 0.691 0.000 (multiplicity 2)
7 O 0.312 0.687 0.500 (multiplicity 2)


[1]
Computed XRD peak list
Compound: Zr2Al6Rh
Radiation: Cu Kα, 1.54184 Å
Structure: a structure optimized by DFT (GGA-PBE)
Kinematic intensities with the Lorentz-polarization factor, no thermal factor.

```
Zr2Al6Rh
1.0
5.627 0.000 0.000
-2.814 4.873 0.000
0.000 0.000 5.667
Zr Al Rh
2 6 1
direct
0.333 0.667 0.129
0.667 0.333 0.871
0.175 0.349 0.685
0.175 0.825 0.685
0.349 0.175 0.315
0.651 0.825 0.685
0.825 0.175 0.315
0.825 0.651 0.315
0.000 0.000 0.000
```

Peak list (8 most intense, 10° ≤ 2θ ≤ 90°, in order of falling intensity)
2.520 Å, intensity 100.0; 2.238 Å, intensity 70.0; 2.450 Å, intensity 69.5; 2.814 Å, intensity 59.7; 5.667 Å, intensity 55.8; 1.544 Å, intensity 26.8; 1.761 Å, intensity 26.7; 3.695 Å, intensity 24.7

=====

[2]
Computed XRD peak list
Compound: Al4Ru
Radiation: Cu Kα, 1.54184 Å
Structure: a structure optimized by DFT (GGA-PBE)
Kinematic intensities with the Lorentz-polarization factor, no thermal factor.

```
Al4Ru
1.0
-3.133 3.133 1.877
3.133 -3.133 1.877
3.133 3.133 -1.877
Al Ru
4 1
direct
0.105 0.703 0.808
0.297 0.105 0.402
0.703 0.895 0.598
0.895 0.297 0.192
0.500 0.500 0.000
```

Peak list (8 most intense, 10° ≤ 2θ ≤ 90°, in order of falling intensity)
2.246 Å, intensity 100.0; 4.431 Å, intensity 37.0; 1.982 Å, intensity 34.0; 3.220 Å, intensity 31.8; 1.189 Å, intensity 23.9; 1.363 Å, intensity 19.6; 3.133 Å, intensity 13.2; 1.877 Å, intensity 12.8

=====

[3]
Computed XRD peak list
Compound: Al6Ru7
Radiation: Cu Kα, 1.54184 Å
Structure: a structure optimized by DFT (GGA-PBE)
Kinematic intensities with the Lorentz-polarization factor, no thermal factor.

```
Al6Ru7
1.0
2.574 1.486 8.628
-2.574 1.486 8.628
0.000 -2.972 8.628
Al Ru
6 7
direct
0.049 0.049 0.049
0.154 0.154 0.154
0.336 0.336 0.336
0.664 0.664 0.664
0.846 0.846 0.846
0.951 0.951 0.951
0.078 0.591 0.591
0.409 0.409 0.922
0.409 0.922 0.409
0.500 0.500 0.500
0.591 0.078 0.591
0.591 0.591 0.078
0.922 0.409 0.409
```

Peak list (8 most intense, 10° ≤ 2θ ≤ 90°, in order of falling intensity)
2.047 Å, intensity 100.0; 4.314 Å, intensity 98.8; 2.211 Å, intensity 84.3; 4.394 Å, intensity 77.9; 1.909 Å, intensity 63.9; 2.221 Å, intensity 63.7; 2.157 Å, intensity 46.9; 1.287 Å, intensity 43.9

=====

[4]
Computed XRD peak list
Compound: AlRu2
Radiation: Cu Kα, 1.54184 Å
Structure: a structure optimized by DFT (GGA-PBE)
Kinematic intensities with the Lorentz-polarization factor, no thermal factor.

```
AlRu2
1.0
-1.905 1.905 11.682
1.905 -1.905 11.682
1.905 1.905 -11.682
Al Ru
4 8
direct
0.296 0.546 0.750
0.454 0.704 0.750
0.546 0.296 0.250
0.704 0.454 0.250
0.038 0.788 0.250
0.128 0.378 0.750
0.212 0.962 0.250
0.378 0.128 0.250
0.622 0.872 0.750
0.788 0.038 0.750
0.872 0.622 0.250
0.962 0.212 0.750
```

Peak list (8 most intense, 10° ≤ 2θ ≤ 90°, in order of falling intensity)
2.216 Å, intensity 100.0; 1.905 Å, intensity 32.0; 1.151 Å, intensity 23.6; 1.362 Å, intensity 19.2; 1.947 Å, intensity 15.8; 3.761 Å, intensity 15.4; 2.953 Å, intensity 14.7; 1.169 Å, intensity 10.6

=====

[5]
Computed XRD peak list
Compound: Al12Ru
Radiation: Cu Kα, 1.54184 Å
Structure: a structure optimized by DFT (GGA-PBE)
Kinematic intensities with the Lorentz-polarization factor, no thermal factor.

```
Al12Ru
1.0
-3.761 3.761 3.761
-- stop --

Reproduce all of the notes further up without altering anything.

The following is a computed XRD peak list of NpNi2AgO8. It was derived from a cell relaxed with PBE+U, using Cu Kα, 1.54184 Å.

The 6 most intense peaks (2θ from 10° to 90°), in order of falling intensity:
d/Å, I_rel, index
3.449, 100, 1 1 0
2.731, 91, 1 0 2
3.271, 90, 1 -1 0
4.747, 75, 1 0 0
2.591, 68, 1 0 -2
1.725, 46, 2 2 0

Cell and atoms:
a = 4.760 Å, b = 4.765 Å, c = 6.440 Å
α = 86.58°, β = 86.57°, γ = 86.77°
Space group P-1 (No. 2)
Asymmetric unit:
1 Np 0.000 0.000 0.000 (multiplicity 1)
2 Ni 0.488 0.488 0.254 (multiplicity 2)
3 Ag 0.000 0.000 0.500 (multiplicity 1)
4 O 0.192 0.191 0.244 (multiplicity 2)
5 O 0.215 0.213 0.795 (multiplicity 2)
6 O 0.308 0.691 0.000 (multiplicity 2)
7 O 0.312 0.687 0.500 (multiplicity 2)


[1]
Computed XRD peak list
Compound: Zr2Al6Rh
Radiation: Cu Kα, 1.54184 Å
Structure: a structure optimized by DFT (GGA-PBE)
Kinematic intensities with the Lorentz-polarization factor, no thermal factor.

```
Zr2Al6Rh
1.0
5.627 0.000 0.000
-2.814 4.873 0.000
0.000 0.000 5.667
Zr Al Rh
2 6 1
direct
0.333 0.667 0.129
0.667 0.333 0.871
0.175 0.349 0.685
0.175 0.825 0.685
0.349 0.175 0.315
0.651 0.825 0.685
0.825 0.175 0.315
0.825 0.651 0.315
0.000 0.000 0.000
```

Peak list (8 most intense, 10° ≤ 2θ ≤ 90°, in order of falling intensity)
2.520 Å, intensity 100.0; 2.238 Å, intensity 70.0; 2.450 Å, intensity 69.5; 2.814 Å, intensity 59.7; 5.667 Å, intensity 55.8; 1.544 Å, intensity 26.8; 1.761 Å, intensity 26.7; 3.695 Å, intensity 24.7

=====

[2]
Computed XRD peak list
Compound: Al4Ru
Radiation: Cu Kα, 1.54184 Å
Structure: a structure optimized by DFT (GGA-PBE)
Kinematic intensities with the Lorentz-polarization factor, no thermal factor.

```
Al4Ru
1.0
-3.133 3.133 1.877
3.133 -3.133 1.877
3.133 3.133 -1.877
Al Ru
4 1
direct
0.105 0.703 0.808
0.297 0.105 0.402
0.703 0.895 0.598
0.895 0.297 0.192
0.500 0.500 0.000
```

Peak list (8 most intense, 10° ≤ 2θ ≤ 90°, in order of falling intensity)
2.246 Å, intensity 100.0; 4.431 Å, intensity 37.0; 1.982 Å, intensity 34.0; 3.220 Å, intensity 31.8; 1.189 Å, intensity 23.9; 1.363 Å, intensity 19.6; 3.133 Å, intensity 13.2; 1.877 Å, intensity 12.8

=====

[3]
Computed XRD peak list
Compound: Al6Ru7
Radiation: Cu Kα, 1.54184 Å
Structure: a structure optimized by DFT (GGA-PBE)
Kinematic intensities with the Lorentz-polarization factor, no thermal factor.

```
Al6Ru7
1.0
2.574 1.486 8.628
-2.574 1.486 8.628
0.000 -2.972 8.628
Al Ru
6 7
direct
0.049 0.049 0.049
0.154 0.154 0.154
0.336 0.336 0.336
0.664 0.664 0.664
0.846 0.846 0.846
0.951 0.951 0.951
0.078 0.591 0.591
0.409 0.409 0.922
0.409 0.922 0.409
0.500 0.500 0.500
0.591 0.078 0.591
0.591 0.591 0.078
0.922 0.409 0.409
```

Peak list (8 most intense, 10° ≤ 2θ ≤ 90°, in order of falling intensity)
2.047 Å, intensity 100.0; 4.314 Å, intensity 98.8; 2.211 Å, intensity 84.3; 4.394 Å, intensity 77.9; 1.909 Å, intensity 63.9; 2.221 Å, intensity 63.7; 2.157 Å, intensity 46.9; 1.287 Å, intensity 43.9

=====

[4]
Computed XRD peak list
Compound: AlRu2
Radiation: Cu Kα, 1.54184 Å
Structure: a structure optimized by DFT (GGA-PBE)
Kinematic intensities with the Lorentz-polarization factor, no thermal factor.

```
AlRu2
1.0
-1.905 1.905 11.682
1.905 -1.905 11.682
1.905 1.905 -11.682
Al Ru
4 8
direct
0.296 0.546 0.750
0.454 0.704 0.750
0.546 0.296 0.250
0.704 0.454 0.250
0.038 0.788 0.250
0.128 0.378 0.750
0.212 0.962 0.250
0.378 0.128 0.250
0.622 0.872 0.750
0.788 0.038 0.750
0.872 0.622 0.250
0.962 0.212 0.750
```

Peak list (8 most intense, 10° ≤ 2θ ≤ 90°, in order of falling intensity)
2.216 Å, intensity 100.0; 1.905 Å, intensity 32.0; 1.151 Å, intensity 23.6; 1.362 Å, intensity 19.2; 1.947 Å, intensity 15.8; 3.761 Å, intensity 15.4; 2.953 Å, intensity 14.7; 1.169 Å, intensity 10.6

=====

[5]
Computed XRD peak list
Compound: Al12Ru
Radiation: Cu Kα, 1.54184 Å
Structure: a structure optimized by DFT (GGA-PBE)
Kinematic intensities with the Lorentz-polarization factor, no thermal factor.

```
Al12Ru
1.0
-3.761 3.761 3.761